To do >
Print all of the lines below unchanged.

Input >
~~~
First-principles (PBE with a Hubbard U) data for an optimized crystal structure of NiPdOF2, as listed in Alexandria.

calculated volume: 60.0 Å³ per cell
relative energy among the computed polymorphs: 0.0 kJ per mole of atoms
total magnetization: 3.6 μB per formula unit
E_tot: -4.064 eV per atom
crystal system: tetragonal

a b c (Å): 3.8615 3.8615 4.0240
angles (deg): 90.00 90.00 90.00
Space group P4/mmm (No. 123)
Inequivalent atoms, fractional coordinates:
Ni: 0.0000 0.0000 0.0000 x1
Pd: 0.5000 0.5000 0.5000 x1
O: 0.0000 0.0000 0.5000 x1
F: 0.0000 0.5000 0.0000 x2

~~~~~

Record 1
Density functional theory data (PBE-GGA) for an optimized crystal structure of CaMgP3.

Calculated values
Polymorph energy (0 for the lowest one) (kJ/mol of atoms): 0.00
E_form (eV per atom): 0.17
Calculated total energy (eV per atom): -3.791

The structure in POSCAR format:
```
CaMgP3
1.0
4.8293 0.0000 0.0000
0.0000 4.8293 0.0000
0.0000 0.0000 4.8293
Ca Mg P
1 1 3
Cartesian
0.0000 0.0000 0.0000
2.4146 2.4146 2.4146
0.0000 2.4146 2.4146
2.4146 0.0000 2.4146
2.4146 2.4146 0.0000
```

---

Record 2
Density functional theory data (PBE-GGA) for an optimized crystal structure of CaMgP2.

Calculated values
Polymorph energy (0 for the lowest one) (kJ/mol of atoms): 17.69
E_form (eV per atom): -0.45
Calculated total energy (eV per atom): -4.057

The structure in POSCAR format:
```
CaMgP2
1.0
5.0671 0.0000 0.0000
0.0000 5.0671 0.0000
0.0000 0.0000 3.0327
Ca Mg P
1 1 2
Cartesian
0.0000 0.0000 0.0000
2.5335 2.5335 0.0000
0.0000 2.5335 1.5164
2.5335 0.0000 1.5164
```

---

Record 3
Density functional theory data (PBE-GGA) for an optimized crystal structure of CaMgP2.

Calculated values
Polymorph energy (0 for the lowest one) (kJ/mol of atoms): 64.78
E_form (eV per atom): 0.04
Calculated total energy (eV per atom): -3.569

The structure in POSCAR format:
```
CaMgP2
1.0
0.0000 3.3879 3.3879
3.3879 0.0000 3.3879
3.3879 3.3879 0.0000
Ca Mg P
1 1 2
Cartesian
0.0000 0.0000 0.0000
1.6939 1.6939 1.6939
3.3879 3.3879 3.3879
5.0818 5.0818 5.0818
```

~~~~~

## Ga2Te2MoO10 (GGA+U)

Data for a geometry-optimized Ga2Te2MoO10 structure.

The structure belongs to space group Pnma (No. 62); the cell edges are 9.077, 6.157 and 15.145 Å and the angles 90.00°, 90.00° and 90.00°. The inequivalent atoms are Ga at (0.001, 0.004, 0.149), Te at (0.187, 0.750, 0.318), Te at (0.248, 0.250, 0.494), Mo at (0.184, 0.750, 0.663), O at (0.090, 0.750, 0.774), O at (0.092, 0.750, 0.078), O at (0.101, 0.250, 0.795), O at (0.104, 0.528, 0.608), O at (0.117, 0.250, 0.105), O at (0.161, 0.514, 0.236) and O at (0.176, 0.516, 0.925).

For the total energy, the calculation gives -6.04 eV/atom. Its crystal system is orthorhombic. The density comes out at 5.11 g cm⁻³.

~~~~~

A.
! PBE LiPaAg, relaxed; values from VASP
! Volume: 62.10 Å³/cell
&SYSTEM
  ibrav = 0, nat = 3, ntyp = 3
/
ATOMIC_SPECIES
Li 6.94 Li.upf
Pa 231.04 Pa.upf
Ag 107.87 Ag.upf
CELL_PARAMETERS angstrom
4.913 0.000 0.000
-2.456 4.255 0.000
0.000 0.000 2.971
ATOMIC_POSITIONS angstrom
Li 0.000 0.000 0.000
Pa 0.000 2.836 1.486
Ag 2.456 1.418 0.000


B.
! PBE LiPaAg, relaxed; values from VASP
! Volume: 118.72 Å³/cell
&SYSTEM
  ibrav = 0, nat = 6, ntyp = 3
/
ATOMIC_SPECIES
Li 6.94 Li.upf
Pa 231.04 Pa.upf
Ag 107.87 Ag.upf
CELL_PARAMETERS angstrom
3.011 0.000 0.000
0.000 3.672 0.000
-1.500 0.000 10.738
ATOMIC_POSITIONS angstrom
Li -0.001 0.918 4.560
Li 1.512 2.754 6.178
Pa 0.000 0.918 1.016
Pa 1.511 2.754 9.722
Ag 0.007 0.918 7.526
Ag 1.504 2.754 3.212


Stability, highest: B


A.
! PBE Li4Ag4Pb, relaxed; values from VASP
! Volume: 352.70 Å³/cell
&SYSTEM
  ibrav = 0, nat = 18, ntyp = 3
/
ATOMIC_SPECIES
Li 6.94 Li.upf
Ag 107.87 Ag.upf
Pb 207.20 Pb.upf
CELL_PARAMETERS angstrom
6.047 0.000 0.000
0.000 6.047 0.000
0.000 0.000 9.644
ATOMIC_POSITIONS angstrom
Li 0.092 1.512 0.283
Li 1.512 0.092 5.106
Li 1.512 2.932 5.106
Li 2.932 1.512 0.283
Li 3.115 4.536 9.361
Li 4.536 3.115 4.539
Li 4.536 5.956 4.539
Li 5.956 4.536 9.361
Ag 0.153 1.512 3.154
~~~

Worked solution >
First-principles (PBE with a Hubbard U) data for an optimized crystal structure of NiPdOF2, as listed in Alexandria.

calculated volume: 60.0 Å³ per cell
relative energy among the computed polymorphs: 0.0 kJ per mole of atoms
total magnetization: 3.6 μB per formula unit
E_tot: -4.064 eV per atom
crystal system: tetragonal

a b c (Å): 3.8615 3.8615 4.0240
angles (deg): 90.00 90.00 90.00
Space group P4/mmm (No. 123)
Inequivalent atoms, fractional coordinates:
Ni: 0.0000 0.0000 0.0000 x1
Pd: 0.5000 0.5000 0.5000 x1
O: 0.0000 0.0000 0.5000 x1
F: 0.0000 0.5000 0.0000 x2

~~~~~

Record 1
Density functional theory data (PBE-GGA) for an optimized crystal structure of CaMgP3.

Calculated values
Polymorph energy (0 for the lowest one) (kJ/mol of atoms): 0.00
E_form (eV per atom): 0.17
Calculated total energy (eV per atom): -3.791

The structure in POSCAR format:
```
CaMgP3
1.0
4.8293 0.0000 0.0000
0.0000 4.8293 0.0000
0.0000 0.0000 4.8293
Ca Mg P
1 1 3
Cartesian
0.0000 0.0000 0.0000
2.4146 2.4146 2.4146
0.0000 2.4146 2.4146
2.4146 0.0000 2.4146
2.4146 2.4146 0.0000
```

---

Record 2
Density functional theory data (PBE-GGA) for an optimized crystal structure of CaMgP2.

Calculated values
Polymorph energy (0 for the lowest one) (kJ/mol of atoms): 17.69
E_form (eV per atom): -0.45
Calculated total energy (eV per atom): -4.057

The structure in POSCAR format:
```
CaMgP2
1.0
5.0671 0.0000 0.0000
0.0000 5.0671 0.0000
0.0000 0.0000 3.0327
Ca Mg P
1 1 2
Cartesian
0.0000 0.0000 0.0000
2.5335 2.5335 0.0000
0.0000 2.5335 1.5164
2.5335 0.0000 1.5164
```

---

Record 3
Density functional theory data (PBE-GGA) for an optimized crystal structure of CaMgP2.

Calculated values
Polymorph energy (0 for the lowest one) (kJ/mol of atoms): 64.78
E_form (eV per atom): 0.04
Calculated total energy (eV per atom): -3.569

The structure in POSCAR format:
```
CaMgP2
1.0
0.0000 3.3879 3.3879
3.3879 0.0000 3.3879
3.3879 3.3879 0.0000
Ca Mg P
1 1 2
Cartesian
0.0000 0.0000 0.0000
1.6939 1.6939 1.6939
3.3879 3.3879 3.3879
5.0818 5.0818 5.0818
```

~~~~~

## Ga2Te2MoO10 (GGA+U)

Data for a geometry-optimized Ga2Te2MoO10 structure.

The structure belongs to space group Pnma (No. 62); the cell edges are 9.077, 6.157 and 15.145 Å and the angles 90.00°, 90.00° and 90.00°. The inequivalent atoms are Ga at (0.001, 0.004, 0.149), Te at (0.187, 0.750, 0.318), Te at (0.248, 0.250, 0.494), Mo at (0.184, 0.750, 0.663), O at (0.090, 0.750, 0.774), O at (0.092, 0.750, 0.078), O at (0.101, 0.250, 0.795), O at (0.104, 0.528, 0.608), O at (0.117, 0.250, 0.105), O at (0.161, 0.514, 0.236) and O at (0.176, 0.516, 0.925).

For the total energy, the calculation gives -6.04 eV/atom. Its crystal system is orthorhombic. The density comes out at 5.11 g cm⁻³.

~~~~~

A.
! PBE LiPaAg, relaxed; values from VASP
! Volume: 62.10 Å³/cell
&SYSTEM
  ibrav = 0, nat = 3, ntyp = 3
/
ATOMIC_SPECIES
Li 6.94 Li.upf
Pa 231.04 Pa.upf
Ag 107.87 Ag.upf
CELL_PARAMETERS angstrom
4.913 0.000 0.000
-2.456 4.255 0.000
0.000 0.000 2.971
ATOMIC_POSITIONS angstrom
Li 0.000 0.000 0.000
Pa 0.000 2.836 1.486
Ag 2.456 1.418 0.000


B.
! PBE LiPaAg, relaxed; values from VASP
! Volume: 118.72 Å³/cell
&SYSTEM
  ibrav = 0, nat = 6, ntyp = 3
/
ATOMIC_SPECIES
Li 6.94 Li.upf
Pa 231.04 Pa.upf
Ag 107.87 Ag.upf
CELL_PARAMETERS angstrom
3.011 0.000 0.000
0.000 3.672 0.000
-1.500 0.000 10.738
ATOMIC_POSITIONS angstrom
Li -0.001 0.918 4.560
Li 1.512 2.754 6.178
Pa 0.000 0.918 1.016
Pa 1.511 2.754 9.722
Ag 0.007 0.918 7.526
Ag 1.504 2.754 3.212


Stability, highest: B


A.
! PBE Li4Ag4Pb, relaxed; values from VASP
! Volume: 352.70 Å³/cell
&SYSTEM
  ibrav = 0, nat = 18, ntyp = 3
/
ATOMIC_SPECIES
Li 6.94 Li.upf
Ag 107.87 Ag.upf
Pb 207.20 Pb.upf
CELL_PARAMETERS angstrom
6.047 0.000 0.000
0.000 6.047 0.000
0.000 0.000 9.644
ATOMIC_POSITIONS angstrom
Li 0.092 1.512 0.283
Li 1.512 0.092 5.106
Li 1.512 2.932 5.106
Li 2.932 1.512 0.283
Li 3.115 4.536 9.361
Li 4.536 3.115 4.539
Li 4.536 5.956 4.539
Li 5.956 4.536 9.361
Ag 0.153 1.512 3.154